• tab My name is Monica Renee Connor. i was born in Little Rock, and adopted by Anna Mary Bell, and Jammy Dan Bell, there from Arkansas. I was sixteen when my step parents and me got into a car accident.
    tab i was listening to the Edge, my favorite station i looked down to find my tape, then when i looked up there it was on the wrong side of the road, coming at us. the driver must have feel a sleep at the wheel, who really knows what happened, because it all happened so fast.
    tab I remember moms eyes as she flew through the window and her screams haunt me in my sleep and the night mares of hearing dad screaming, hitting his head on the steering wheel, and the sound of his neck braking due to the set belt. Then every thing goes blank
    tab I woke up in the hospital from the night mare of the crash. who are you? said Monica. I am your mother dear, your real mother,My name is Renee Ann Connor. i have some bad news, and some good news, if you consider it good. said Renee
    tab Oh, okay go on, said Monica. Jay....Said Renee. wait what are you doing here! You know i don't even know you? how dare you come back! how dare you! said Monica. truth is i don't care if she is here or not, i just don't want to here about mom and dad. i wonder if it hurts her feelings that i call them mom and dad any ways, thought Monica
    tab Now Monica i am not going any were, said Renee oh really now! last time i remember you gave me away did you not! said Monica. No i left you, said Renee. let me explain myself and why i am here would you? said Renee.
    tab No! get out! i have other stuff to be worrying about! like my mom and dad! not about your problems! yelled Monica. Excuse me is there a problem in here said the nurse. No said Renee. yes said Monica, i a sure you there is no problem. i just upset her that's all i can take care of it, said Renee. Okay but keep it down.
    tab Monica i know what happened i know about Jammy and Anna, and that's why i am here, said Renee. i figured that much said Monica. I am here for you if you need me Monica, said Renee really, said Monica you were Not said Monica not here in the begining yes i know just let me finish said Renee.
    tab i don't deserve an apology from you or your father, bye the way don't be mad at him for giving you away he thought it was what was best for you that's all, said Renee. i left because i was afraid of raising you you were my first i chickened out you could say, and i left you and your father, said Renee
Someone pasted data records at this point.
The following is a quantum chemistry calculation of a structure of composition C27H30F5N5O5SSeTeW, from the Open Molecules 2025 dataset.

* molecular weight: 1022.02 u
* HOMO energy: -0.071 Eh
* net charge: -2

Each line ends with the Löwdin charge.
Geometry (Å):
W (1.136436, -1.124038, -0.027232)  1.943
C (-2.269405, -3.535968, 1.058206)  -0.191
C (-2.697312, -2.912071, -0.279734)  -0.168
C (-1.561142, -2.572346, -1.257920)  -0.221
N (-0.880812, -1.307031, -0.976889)  -0.099
C (-1.605934, -0.209416, -1.261458)  -0.234
C (-2.801159, -0.232691, -1.996034)  -0.008
C (-3.706917, 0.760260, -2.362489)  -0.091
C (-3.810667, 2.069272, -1.955152)  -0.124
C (-2.914613, 2.703361, -1.105625)  -0.085
C (-1.709829, 2.255932, -0.617251)  -0.016
C (-0.998810, 1.040097, -0.802031)  -0.230
N (0.275136, 0.927304, -0.498550)  -0.069
C (0.999894, 2.184859, -0.301871)  -0.223
C (2.502763, 2.054607, -0.479767)  -0.162
C (3.113843, 1.224732, 0.661074)  -0.183
N (2.052158, 0.438561, 1.263948)  -0.106
C (1.888369, 0.302695, 2.541118)  -0.196
C (2.828217, 0.790680, 3.505469)  -0.006
C (2.767201, 0.858817, 4.869688)  -0.100
C (1.768775, 0.442955, 5.762560)  -0.136
C (0.618860, -0.220003, 5.409313)  -0.105
C (0.138753, -0.616794, 4.161547)  -0.024
C (0.637629, -0.422401, 2.865490)  -0.197
N (-0.007129, -0.830805, 1.775938)  -0.095
C (-1.429642, -1.159285, 1.905346)  -0.203
C (-1.841509, -2.605023, 2.220040)  -0.170
H (-3.119273, -4.122167, 1.424394)  0.097
H (-1.473412, -4.249591, 0.857113)  0.083
H (-3.323013, -3.652172, -0.789663)  0.110
H (-3.342947, -2.041179, -0.120630)  0.103
H (-0.855986, -3.382729, -1.254257)  0.054
H (-1.953355, -2.567213, -2.277052)  0.109
H (-3.052148, -1.189551, -2.424292)  0.090
H (-4.463986, 0.432369, -3.064958)  0.092
H (-4.626288, 2.653111, -2.361500)  0.095
H (-3.168963, 3.719865, -0.821998)  0.104
H (-1.185154, 2.980454, -0.010090)  0.095
H (0.626731, 2.919321, -1.018014)  0.085
H (0.801985, 2.595910, 0.699811)  0.124
H (2.729757, 1.625095, -1.450000)  0.092
H (2.923317, 3.062466, -0.454474)  0.111
H (3.905395, 0.553617, 0.321537)  0.101
H (3.535517, 1.908235, 1.397773)  0.101
H (3.753816, 1.150663, 3.082016)  0.092
H (3.646631, 1.294513, 5.335201)  0.097
H (1.945779, 0.621794, 6.815921)  0.082
H (-0.023137, -0.514089, 6.234977)  0.097
H (-0.773584, -1.193489, 4.215072)  0.086
H (-1.823896, -0.505632, 2.687308)  0.109
H (-1.919377, -0.839720, 0.993267)  0.085
H (-1.036422, -3.088685, 2.775947)  0.107
H (-2.690768, -2.524232, 2.908812)  0.100
O (2.556564, -4.361204, 0.118333)  -0.422
S (1.254004, -3.934337, -0.367896)  0.345
O (0.411251, -5.030773, -0.760544)  -0.283
O (0.524444, -3.050425, 0.661308)  -0.441
O (1.404861, -2.849181, -1.424825)  -0.445
Se (-3.433697, 2.409200, -5.690913)  0.325
C (-2.150262, 3.250853, -4.615647)  -0.809
C (-2.358502, 4.481618, -3.967220)  -0.169
C (-1.367432, 5.037410, -3.183822)  -0.209
N (-0.167521, 4.487020, -2.968613)  0.018
C (0.035914, 3.317513, -3.583755)  -0.195
    tab Mom and dad are dead aren't they? said Monica. I am sorry sweetie they are, but i am here now for you and will always be, said Renee, really then why did you give me away. only if you did not i would not be hurting like i am now i would have never known them. i would have never loved them like i do now. there my parents the ones i do know, and they are dead, cried Monica.

    To be continued......... tab tab